Thursday, April 29, 2004

The Village

Exams are finally over and students far and wide are blanketting downtown to consume excessive quantities of Boozahol! Oh yes... Not that I drink or club much, but I like to watch other people get drunk.

I got a rather odd invitation last night, though. I was watching American Idol last night, a show I hate, but I wanted to see them boot off that dorky red-headed guy(take that Glen!)! During this time I got a phone call and asked about the details of a clubbing excursion the following night. I said, "Sounds like fun! Where is this club?" She quickly answers, "The village."

I thought nothing of it at the time. I repeated the word village a few times, my mind was focused on other things. Then I went to bed and when I woke up I knew something was wrong. As I often do, I indulged in internal monologue to get to the bottom of what was troubling me.

Me: So... we're going clubbing tonight?
Myself: Yeah... Should be fun... Where did she say that club was again?
Me: The village...
Myself: What... village?
and I: She meant the gay village idiots!!!
Me: *staring blankly* You mean.. happy village?
and I: You know... gay! Homosexual.
Me: *still staring blankly*
and I: Chi Chi man Village!!!
Me: Chi... Chi... man? AAAAAAAAAAAHHHHHH!!!!!!
Myself: Nice job, Bumblenuts, you just agreed to go to a gay club.

Anyway, obviously I wasn't having any of that. The next day I politely declined the invitation. "Woman! Are you mad??? What the eff do you expect me to do at a gay effing bar?"

"But the musics good and guys don't hit on me as much, don't worry, you're not that good looking, you won't get hit on(that was a dirty shot by the way, Cris!)!! and blablablablabla!" I refused. I'm not a big clubber to begin with, but isn't the point to socialize with potential dates? Throughout the course of the day the word, homophobe came up a few times.

Now I'm many things, but not a homophobe! I prefer to think of myself as... non-homophillic. I'm very nice to gay people. When I see a gay person I give him a stern nod.... No smiling... Just in case. Is it so wrong to refuse an invitation to a gay bar if you're not gay? Imagine the awkardness of being hit on by a guy?

Gayman #1 "You lookin' mighty fine in them there jeans, boy!!!!"
What am I supposed to say to that? "Thank you sir. Your advances are flattering but I'm not gay!"
Gayman #2 "You have really pretty eyes."
Me: "Thank you... I get them from my mother... But... as I told the man with his hand in your pocket, I'm not gay!"

I'm sorry if I sound like an ignorant bigot... I don't mean to offend but...No. Just... No...

Saturday, April 24, 2004

"I can't believe you peed on that thing!"

Molecular data, as found in the file:
........
Computed, not measured: a structure of composition C30H93N15O8P5Y at a distorted geometry, with ωB97M-V with the def2-TZVPD basis set.

Each line ends with the Löwdin charge.
Element x y z (Å)
C1 -4.61769 2.03689 2.00779  -0.100
H1 -0.48931 2.00308 -4.11810  0.071
H2 4.24539 3.17095 1.43730  0.094
H3 2.90244 3.78869 -4.10813  0.078
H4 2.26404 0.98580 1.27322  -0.089
H5 -1.18686 3.52309 -4.78008  0.077
H6 3.72230 1.42397 1.21148  0.047
C2 4.11671 2.33139 0.75416  -0.094
P1 -6.96650 -3.40786 -0.56923  0.654
H7 0.42457 1.59543 5.44858  0.078
H8 4.96389 2.99095 -1.42525  0.074
H9 4.00535 -4.62198 0.12088  0.074
H10 1.39653 -5.32984 0.56539  0.085
H11 -4.21170 -1.35511 0.64755  0.063
C3 2.57723 1.35391 -2.41312  -0.131
H12 -2.48110 4.64585 -2.86567  0.088
N1 6.12433 0.35397 2.24551  -0.309
H13 -8.14531 -1.04449 1.01345  0.071
N2 7.88306 1.15930 0.35134  -0.291
H14 3.13247 -0.73199 -4.10766  0.053
H15 5.09979 -2.03040 -1.87106  0.081
N3 -5.33632 -2.84927 -0.57765  -0.289
C4 -3.46033 0.42366 5.60449  -0.117
C5 -7.58912 -0.80789 0.10639  -0.121
H16 3.62031 -5.73771 -1.14791  0.069
H17 -5.31562 2.80518 1.67504  0.071
H18 -1.35324 3.87612 4.78488  0.075
C6 -6.46067 -4.96337 1.57153  -0.121
H19 4.27217 -4.25175 -1.69963  0.056
H20 -3.80037 -3.17234 -2.00912  0.072
H21 0.62332 2.15132 3.77851  0.077
H22 -2.51785 -0.28303 -1.68078  -0.044
H23 1.23721 -4.32145 -5.06602  0.089
H24 1.29792 3.54693 1.22024  0.065
H25 -4.27444 -0.20367 5.96751  0.082
H26 -5.65703 -2.30849 1.29826  0.047
H27 3.45867 1.32805 -3.05381  0.076
P2 1.72246 -2.78716 -1.89631  0.627
N4 -1.28937 1.90290 4.39918  -0.324
O1 -0.52988 -2.27470 1.48276  -0.477
C7 1.18290 4.46750 0.64803  -0.103
H28 2.80655 1.21783 -1.35624  0.061
H29 -6.54002 -0.66070 0.36295  0.048
H30 4.26027 -0.38275 -2.01633  0.048
C8 -3.15775 3.91529 2.38982  -0.120
Y1 -0.29240 -0.45939 0.28369  1.324
C9 7.70574 0.09682 -0.64196  -0.129
H31 2.22904 -1.98059 -4.60815  0.069
H32 1.23660 -5.46410 -3.56610  0.085
H33 -7.92821 0.16892 -0.23852  0.079
H34 6.77729 0.13178 -1.21192  0.063
H35 -5.03141 1.10647 2.39670  0.074
C10 1.55934 5.41503 -1.65845  -0.119
H36 -5.49785 -4.87527 1.06822  0.068
C11 -0.31158 -2.75324 -3.72380  -0.059
P3 -2.27460 1.39310 3.23294  0.579
H37 8.47392 -0.10783 -1.38769  0.085
H38 -2.76795 3.03823 5.16063  0.047
H39 -8.98170 -4.46113 2.46053  0.085
H40 -3.58753 -1.84298 4.40782  0.080
N5 1.08619 4.30130 -0.80652  -0.281
H41 2.30895 5.12218 -2.39359  0.050
H42 3.83777 -1.25462 -0.77600  0.069
H43 -3.03619 -1.28234 2.66282  0.044
H44 -0.69062 -3.30226 -4.58577  0.081
N6 -3.21793 0.23843 4.15628  -0.293
N7 -7.37463 -3.92410 1.03801  -0.311
N8 -0.85940 3.55079 -2.72829  -0.314
H45 8.94682 2.91968 0.31036  0.067
H46 0.58900 -5.65921 -0.99134  0.069
H47 0.30078 0.40759 4.12047  0.087
H48 2.15983 6.14875 -1.12069  0.077
H49 6.35516 -1.33690 1.27123  0.059
H50 4.84501 -0.51173 0.95649  0.060
O2 -1.58486 0.82847 2.05707  -0.311
H51 -9.33267 -3.41913 1.19215  0.067
C12 -4.74984 -2.30186 0.69405  -0.127
........

Friday night was the Expos home opener and I spent it with the old High School gang, sometimes referred to as Alpha Posse. Though some were missing in action, those who did show were in character to say the least! Kenny and Norm Chu busted out a palm pilot AND a laptop during the baseball game. Macho Man impersonations from Justin and I, and general tomfoolery from Vrej and his engineering peeps.

But the true test of character came at McDonald's whereby we faced our biggest dilemma of the evening. After eating mcD's and drinking mcD's we needed to piss out said McD's. However, not only was the stall to the toilet locked from the inside, but there was a plastic bag of hot caramel in the urinal!! Is that what happens when Ronald McDonald has to relieve himself? He pisses delicious caramel?

We each dealt with the obstacle in our own way. While Rezaul and I wisely decided to hold it in, despite my begging, Justin relieved himself right on the bag of caramel, then returned to recount the story of the urine hitting the bag, splashing back... etc....

Vrej was in the bathroom for quite some time. Our imaginations conjured disturbing images of him feasting on the sweet, sweet caramel, right out of the urinal. It turns out, he spent about ten minutes bashing the stall and then finally opening it with a credit card. I think Vrej has a James Bond complex. He likes... sneaking! I'll never forget when he hid behind a wall to get a picture of the elusive Brent Spiner. And failed...

Joe went to the bathroom after Vrej had liberated the stall, but he decided to piss on the bag of caramel anyway, just so he could fine tune Justin's observations on the fluid dynamics of urine. His pedantic description was far more disturbing than Justin's. But probably accurate!

I believe Justin's question summed up the night best, "Will we be 50 year old men, hanging out at McDonald's insulting each other's moms?" Joe replied something to the effect that we would be telling each other the same insults, maybe switching the word mom for wife... and maybe meaning what we said!

Is it wrong to have fun hanging out of McDonald's and peeing on caramel? If so, then I don't want to be right. If at 50 we'll be married, high paid professionals having fun, then so be it! My sincerest apologies to whoever had to dispose of the urine soaked bag of caramel.

Thursday, April 22, 2004

Greatest Goat of All Time

I was supposed to be studying last night, so naturally I started listenning to hours and hours of music late into the night. I came across an old LL Cool J song and recalled that it was from an album that he entitled the G.O.A.T. This stands for Greatest Of All Time. I have two problems with this. 1) Greatest what of all time? It's so veg and broad. 2) The name invariably conjures up the image of a goat. Goat's are not cool or bad ass.

I can just picture LL going around with people calling him Goat. "Goat, could you pass the salt?" Or, "Yo, the Goat, your rent is due motha f**ka!!!"

At first I wondered why anyone would want to be associated with such a non-assuming animal. But I started feeling it after a while. Goats eat stuff. Are you tough enough to eat a tin can? Well, if cartoons have tought me anything, it's that goats eat tin cans. Also, when you call goats, Billy Goats.... I don't know... That seems kind of tough. Does anyone remember that fable, The Billy Goats Gruff?

See, there's this Troll, Troll's being a big problem in those days. And the Troll lives under a bridge, bridges being the most affordable real-estate at the time (let's say... 1920's). Anyway, so this tiny little goat crosses the bridge. It's all cute with long eyelashes and blue eyes. And the Troll goes, "AHA! I will eat you goat!" But the small goat says, "Hey, don't eat me! My brother's coming up behind me and he's MUCH bigger than me. I'm barely an appetizer!"

So the Troll runs a pensive hand through his dreadlocks and says, "Your treachery to your kin puzzles me. Nevertheless, I will hold out for the bigger goat." And he lets the small goat pass.

So another goat, slightly bigger comes by. The exchange between him and the Troll proceeds in much the same way. "Goat, I shall eat you!" the Troll says and the goat replies, "YO, my bro is coming and he's bigger and jucier and... woah! You'd be barbecuing goat for days man!"

So the Troll says, "Sweet... You may pass, medium-small sized goat. I'm waiting for the big payoff!" And this repeats itself for several goats (3-8 goats, I can't remember). So the Troll is waiting for a big goat to come. Probably crossing his fingers, "Gee, I hope this next goat promises me a larger goat."

So the ground starts trembling. The water under the bridge is making concentric circles from the shockwaves of goat steps, like the T-Rex in Jurassic Park. And the Troll is so stupid and greedy he just licks his lips and says, "Oh man, this is going to be the biggest goat ever! I'm so hungry."

And this huge goat, slavering and snarling comes to the bridge. The thing must have been on steroids or something, it's like, 3 times the size of the Troll with big demonic horns reminiscent of Beelzebub's and fangs. The thing had blood in its fur. The Troll points a finger at the goat and says, "Goat! I shall eat...." then realizing his foolishness cries, "Holy s**t!!!!" Without warning. The the huge goat like... violates the troll and throws the bisected carcass in the water!

So the huge goat gets to his brothers when one of the intermediate sized goats asks, "Where are we going anyway?" And the biggest goat says, "I don't know... I was just following you!"

Anyway, my point is, LL Cool J's nickname is cool, if and only if, he associates himself with the goat from that story. Nuff said!

Tuesday, April 20, 2004

Delirious Dan

This Black Log post is the result of pure procrastination. I logged onto MSN, a student's first and last resource for putting off studying, and I decided to talk to my buddy Dan.

Dan's "at work". He finished school long ago so this semester he didn't have the stress of exams or projects. So he's just chilling since January. Parties of both the Lan variety and drinking variety. And God forbid I say I have studying to do!!! I'm dirt if I politely decline, "Sorry Dan. I have a really hard exam coming up!!!".Dan goes nuts on me. It's as if he has forgotten all about the hardships of exams.

I can't wait until I'm finished exams like Dan. He's so much happier and laid back. Any idea seems exciting to him. Going to a bar... going to a dep... Eating lunch in the hallway instead of the kitchen. It's all good to Dan. He's good people!

Today on MSN I mentionned the idea of a communal blog where everyone can put in there two cents. Seconds later he had set it up and asked for email adresses of anyone who might be interested in having an account to this communal blog. He was just so excited! About a blog!!!

I miss being excited about stuff... School has broken me. Just a few more exams though and I'll be Danning it up like an electrified Dan machine!!! But as he just pointed out, I should probably study for the exam I have in a few hours

Sunday, April 18, 2004

Jedi Bums

So I run into my fairy-god sister, Mel. Upon hearing that droopy and I were going to have junk food, she generously offered me some coupons so we could save a few bucks. Droopy shows up at the paramount (late of course!) and we had a long discussion on what was the cheapest way to eat that night.

Droopy: "You can get a burger and a fry for 2$ at burger king!"
Me: "What about the drink?"
Droopy: "Well I brought a drink!"
Me: "I was going to bring a drink!"
Droopy: "There are water fountains everywhere! You don't need to buy a drink!"

It all seems pretty ghetto in retrospect. Coupons and drinks from home... All this to save a few cents on a 4$ meal! But here's the punchline. Before entering Burger King, this bum comes up to us and snarls, "Can I have 20$ for a steak?" I could only stare in shock. "I don't eat that s**t!" he declared gesturing to Burger King.

I was pretty confused. Is this guy some psychological genius? Does this bum actually have a strategy for mentally tricking people into giving him money by shocking me with his brazen rudeness? Was he joking? I couldn't figure it out. It was like a Jedi mind trick. For a split second, I think I wanted to give him the money. "Yes... I should give you 20$ to eat a steak. I'll go have a 1$ hamburger at Burger King."

And that's not the first time I can remember being shocked at the rudeness of a vagrant. I remember another time with Mel, we gave the remainder of our pizza to a particularly wretched, filthy bum. Did he say thank you? No, he growled that there was less than half a pizza in the box! How does that help this guy? Does he expect me to say, "Mmm... You're right... You deserve more pizza. I'll go fetch some for you."

Next to the page, the page also holds molecular data:
# 1
Computed, not measured: a cluster of 7 separate species, C14H42O14 in total, with the ωB97M-V functional and the def2-TZVPD basis.

Geometry as XYZ:
```
70
Properties=species:S:1:pos:R:3:forces:R:3:nbo_charge:R:1
C -2.243330 -8.486327 19.780210 0.089 -0.450 -0.524 -0.083
C -1.628441 -9.549319 18.878125 -0.432 0.118 0.281 -0.080
O -2.519005 -10.667417 18.747241 0.614 0.450 0.006 -0.720
O -1.442554 -7.311610 19.676183 -0.268 0.087 0.122 -0.733
H -2.402974 -8.849032 20.795619 0.220 0.130 0.113 0.171
H -3.226647 -8.337564 19.334035 -0.179 0.593 0.232 0.162
H -0.655934 -9.853444 19.265234 -0.048 -0.301 -0.128 0.170
H -1.505812 -9.039778 17.922391 0.336 -0.194 -0.172 0.165
H -3.022129 -10.489522 17.949235 -0.225 -0.257 -0.021 0.473
H -0.992373 -7.119185 20.501963 -0.127 -0.160 0.052 0.476
C -7.145046 -7.741444 15.857471 0.824 0.457 -0.152 -0.097
C -5.986983 -8.324132 15.029923 0.211 -1.007 -0.721 -0.093
O -5.593407 -9.702669 15.279684 -0.020 0.711 0.631 -0.742
O -8.416489 -7.937468 15.261860 0.067 -0.551 -0.012 -0.720
H -7.014943 -6.664280 15.961799 0.476 0.172 -0.185 0.167
H -7.057044 -8.109484 16.879663 -0.307 -0.478 0.081 0.173
H -5.046321 -7.786520 15.149116 -0.191 0.222 0.616 0.187
H -6.154687 -8.241722 13.956063 -0.595 0.206 -0.069 0.177
H -6.188246 -10.362538 14.915891 -0.369 0.386 -0.149 0.475
H -8.954399 -7.168142 15.462824 -0.057 -0.109 -0.008 0.474
C -2.736605 -0.334814 20.085593 0.184 1.481 0.416 -0.087
C -1.799502 0.451068 21.009941 0.646 -0.661 1.480 -0.085
O -1.424447 -0.399839 22.150484 -0.188 -0.299 -1.146 -0.758
O -3.956627 -0.509785 20.734451 -1.016 -0.466 0.342 -0.714
H -2.388166 -1.282315 19.674586 0.581 0.131 0.118 0.178
H -2.966236 0.362423 19.279848 0.166 -0.189 -0.380 0.182
H -2.294575 1.311249 21.460606 -0.557 0.027 -0.476 0.175
H -0.918159 0.859038 20.515049 0.233 -0.389 -0.241 0.165
H -1.136760 0.091451 22.923447 -0.081 0.368 -0.280 0.474
H -3.846317 -1.183731 21.409154 0.033 -0.011 0.164 0.471
C 1.053958 -4.715987 15.397334 2.055 -0.567 -2.321 -0.089
C 2.392424 -4.634411 16.230406 -3.054 0.533 -0.180 -0.096
O 2.016669 -3.805950 17.339132 1.218 0.394 0.213 -0.726
O 0.848092 -3.650603 14.378233 0.137 -1.191 1.749 -0.725
H 0.195516 -4.973844 16.017584 -0.129 0.715 0.140 0.168
H 1.206283 -5.575796 14.744943 -0.268 -0.262 -0.103 0.170
H 3.184974 -4.216724 15.609516 0.006 0.221 0.397 0.194
H 2.657538 -5.617829 16.618616 0.166 -0.163 -0.356 0.171
H 1.440792 -4.364706 17.866150 -0.078 0.175 0.185 0.463
H 1.142220 -2.810553 14.737950 -0.066 0.145 0.280 0.469
C -4.360190 -3.067939 11.660102 -0.392 -0.307 0.899 -0.085
C -4.979934 -2.650783 13.037825 1.641 0.286 -0.783 -0.086
O -4.709647 -1.271406 13.413115 -0.420 -1.136 -0.638 -0.717
O -5.088068 -2.590850 10.560831 -0.633 0.939 -0.163 -0.739
H -4.327267 -4.156469 11.614121 -0.074 -0.230 0.286 0.162
H -3.321734 -2.736719 11.662056 0.120 0.292 -0.101 0.168
H -4.357923 -3.235538 13.715522 -0.392 -0.076 0.398 0.180
H -6.033717 -2.913159 13.131687 -0.027 0.084 -0.093 0.171

I think all Concordia students know the Concordia Bum. The guy who tries to mug you with a banana, "Drop it like its hot, baby!" he declares. Or he'll say, "Stop playin' with yo Willy!!" Are these good begging techniques? What do they gain besides some mention in my Black Log?

I want to do an experiment one day. I'm going to go on a street corner and just try different ways of asking for money, just to see what works. I won't even wear bummy clothes. I'll wear a suit and tie. And as people pass buy I'll try different Jedi Bum Tricks.

"Hello sir... You want to give me money..."
"Are you going to eat there? That's disgusting... I want to eat lobster... And I want YOU to pay for it."
"Money is the root of all evil! Give me your earthly posessions and free yourself from sin my brother!"
"Can I please have a lot of money?"
"15 bucks, little man, put that s**t, in my hand, if that money doesn't show then you owe me, owe me owe!"

Then I would join the Conclave of Concordia Bums that seem to gather on Saturdays. We'd pool our hard earned cash together, buy a big-ass bottle of alcohol, and pass it around. Then we'd all disperse, drunk off our asses, to give the gift of drunken ramblings to the world. That's the life for me. We ride together, we die together... Jedi Bums for life!

Friday, April 16, 2004

Did anyone see the Apprentice last night? Pretty good show. I think when it came down to the last four people the choices were getting pretty random.

My biggest concern is Donald Trump's waxing ego. He says: "You both sacrificed alot to work for the Donald!" It's 'The Donald now'??? I don't care if he's a zillionaire, that lacks creed my friends! But a sure sign that someone's ego is going out of control, is when they decide to build a big ass tower in the middle of a city. For those of you who don't know, that's what the 'winner' of the apprentice gets to indulge in. As 'the Donald's' newest minion, Bill gets to oversee the construction of a big tower that will be filled with CONDOMiniums and... whatever...

It's the oldest story in the book! The tower of Babel, the pyramids... umm... other big towers... When men of power really want to leave an impression, they build large towers to pay omage to their egos... And of course their wangs. There is no phallic symbol more poignant, than a big tower. And you should have heard him talking about this tower:

"I will erect this tower in the city of Chicago, from which it will protrude like an aroused porn star's member. I will call this monolith, Donald's Boner! When the sun rises in the East, it will cast a long shadow over the entire western hemisphere. When it sets in the west, it will shroud the eastern hemisphere in darkness. Terrorists will plot day and night on how many planes it will take to collapse it. I will use it to make sweet love to Mother Nature. When God looks up from the heavens he'll cry, 'No! Trump's phallus has punctured the heaven's and climbs ever upward to the source of creation! Damn you Trump!!!!'"

Okay, so I may have exaggerated some of it... And I guess we all need to stroke our egos every once and a while. How do I pay homage to my ego? The Black Log of course.

Wednesday, April 14, 2004

~~~
Record 1
A molecular structure, C29H28Br2F9N3O7S. Source: the OMol25 dataset; level of theory: the ωB97M-V functional and the def2-TZVPD basis.

Structure (XYZ):
```
79
Properties=species:S:1:pos:R:3:forces:R:3
C 4.54012 -2.36635 2.21143 -0.16 -0.08 -0.24
C 3.81414 -2.12161 1.28048 -0.75 0.17 0.14
C 2.83672 -1.82344 0.12155 3.30 -0.74 1.01
N 2.33453 -3.15494 -0.27753 -0.63 0.50 -1.10
C 2.28118 -3.36720 -1.49036 -0.13 0.25 -0.65
O 2.22699 -3.56424 -2.63971 0.04 -0.27 1.28
O 1.93934 -0.89981 0.64595 -0.58 0.55 -0.49
C 0.58135 -0.91760 0.21269 -1.53 -2.25 -0.06
C -0.19536 -1.90324 1.17906 0.86 -0.38 -0.13
C 0.38725 -1.95584 2.62631 -2.22 -0.81 0.12
O 1.20195 -3.14055 2.72006 0.50 0.81 0.05
C -0.80733 -2.20333 3.63406 0.73 0.12 0.02
N -0.44236 -1.80005 5.00419 -0.52 -0.06 -0.28
C -0.05277 0.50823 0.03651 2.99 1.79 0.74
O -0.32658 0.98616 -1.26699 -0.43 -0.97 -0.09
C -0.85645 0.23404 -2.28343 -0.93 -0.20 -1.63
Br 0.44862 -0.73217 -3.46093 0.07 0.10 0.82
Br -1.58770 1.58801 -3.57830 0.15 -0.22 0.61
C -2.04626 -0.71853 -2.06942 -0.75 -0.17 -0.98
O -1.75992 -1.87737 -1.31611 -0.37 0.81 0.36
C -2.99128 -2.47881 -0.91563 -0.81 -0.92 0.06
C -3.76215 -3.21060 -2.06419 -0.73 0.38 -0.21
C -5.28668 -2.81976 -2.03585 0.61 -0.50 0.51
C 1.04721 1.54306 0.51685 0.52 1.47 -0.08
C 1.65051 2.42605 -0.41201 0.24 0.18 0.14
C 2.62106 3.37232 -0.01430 0.06 -0.05 0.32
C 3.02467 3.51142 1.32623 -0.88 -1.01 -0.48
C 2.41755 2.63540 2.25914 0.63 0.71 -0.50
C 1.46469 1.69627 1.85549 -0.03 -0.55 0.34
S -1.49488 0.91753 1.11450 -2.70 -2.79 2.83
O -1.26759 0.62931 2.51597 1.78 1.03 -0.53
O -2.71713 0.21926 0.76881 0.50 0.88 -1.91
C -1.94254 2.74647 1.11746 -0.73 0.86 0.55
F -0.99065 3.50834 1.68053 -0.03 -0.47 -0.92
F -2.98755 2.80987 1.98784 0.33 -0.71 -0.54
C -2.47323 3.33200 -0.22521 0.28 1.84 0.17
F -1.37551 3.70822 -0.94945 -0.52 -0.65 0.01
F -3.29527 2.51647 -0.89958 0.81 -0.16 0.25
C -3.28781 4.67268 -0.02593 -0.80 0.07 0.25
F -2.77486 5.46089 0.94111 0.23 -0.42 -0.40
F -4.56723 4.40026 0.34356 0.72 -0.34 -0.26
C -3.37713 5.53327 -1.34948 -1.12 1.06 0.38
F -3.37948 4.81863 -2.47370 0.56 0.14 0.43
F -2.43310 6.48088 -1.33495 0.08 -0.80 -0.49
F -4.56112 6.19444 -1.31893 0.54 -0.34 0.03
C 3.78541 -1.27634 -0.99335 0.88 1.06 -1.08
C 3.49401 -0.18815 -1.84644 0.03 -0.91 0.84
C 4.43066 0.21014 -2.81071 -0.68 1.51 -1.13
N 5.65657 -0.26909 -3.06366 -1.65 -0.83 1.94
C 5.90359 -1.27253 -2.19986 1.68 -1.00 -0.13
C 5.08347 -1.82254 -1.21280 -1.13 0.28 0.13
H 5.18344 -2.64693 3.03445 -0.34 0.26 -0.53
H 0.53680 -1.42776 -0.76759 -0.12 0.65 0.26
H -0.00486 -2.92055 0.77171 -0.07 0.63 0.18
H -1.29041 -1.79507 1.14109 0.57 0.36 0.14
H 0.92421 -1.04132 2.92816 -0.11 -0.45 -0.25
H 1.97082 -2.93786 3.26806 -0.05 -0.10 -0.25
H -1.73507 -1.70577 3.30232 0.51 -0.03 0.36
H -0.99715 -3.29498 3.65681 0.11 0.50 -0.27
H -0.64729 -0.81809 5.15903 0.27 -0.12 -0.07
H 0.54264 -1.98361 5.16965 -0.19 0.12 0.09
H -2.35909 -1.05784 -3.08370 0.38 0.48 0.42
H -2.92058 -0.13126 -1.70294 0.72 -0.33 0.34
~~~
(End of the data records)

So I went to this comedy show on Sunday. It was pretty funny. There was this white guy with the strongest Trinidadian accent I've ever heard, and big Jar Jar Binks ears. Except less floppy and more... werewolf like. Anyway, he had the most fascinating perspectives on Jamaican dialect. He noticed that the Jamaican word for gaylord changed from Batti man to Chi chi man. Long ago he discovered that Batti was the Jamaican word for Ass, thus a gay man was an Assman... But what was this "Chi Chi"??? After a long rant he finally revealed that Chi Chi is the word Jamaican's use for termite. Thus, a gayman is like a termite, because they both eat wood.

Badda Bing!

Speaking of termites, I have an exam on insect behaviour this friday. Stressful stuff. Did you know that termites are monogamous? After a male breeder termite and a female breeder termite mate, they start a colony. The queen gets big and fat, after which she lays eggs until she dies. The male termite, now known as the King, simply hangs around the queen. When the Queen needs a fix (a sexual fix... teehee), she releases a hormone, the king gets laid and then goes about his business once again. Aside from having sex with the very hot and bloated termite Queen, the king exists simply to be fed by worker termites and protected by the soldiers. Apparently the only reason for this evolutionary relationship is because it would be too impractical for the queen to store large amounts of sperm for the many, many eggs she will lay. So the King is simply a mobile sperm delivery system. Pretty sweet life if you ask me. I wish I was a termite :-( Aside from the whole... wood eating...

Sunday, April 11, 2004

Today I did something I usually don't do. I watched SNL. I guess Janet Jackson's campaign of... You know... Exposing her nipple worked on me! SNL comes on way passed my bed time. But it was pretty funny. There was a great sketch about "cork soakers". And who would believe Janet Jackson is like 41 years old?? I used to be totally against plastic surgery. But now that they tend to call it cosmetic surgery, it doesn't seem so bad. I guess plastic surgery conjures the image of terrifying plastic cyborgs, though said cyborgs had perky plastic cyborg bosoms!

There was another funny sketch where Bush supposedly doodled "I heart Condo Lisa" on the Terrorist report. Ever notice how when the White House has to defend their position on something, they send someone who's not stupid as opposed to Bush? Either Colon Power and now Condom Lisa (teehee, I'm so clever). But when it comes time to getting props, Bush gets behind some podium and starts rambling on like Boomhauer from King of the Hill. "Hey man, themtheredangoldBinSadaam man WMD'sDang old God Bless America man!"

Black Log complete.

Friday, April 09, 2004

Black Log Day 1


I've spent the last few months complaining about blogs. What kind of self-indulgent crap is this anyway? People just post random thoughts and anecdotes online??? It's offensive to me...

Or is it?

My hatred for this medium has become a fevered obsession. The sleepless nights, the heated arguments, the countless bricks hurled at Vrej's house.... The line has to be drawn here! This far and no further! So my solution... Make a blog of my own! Does that make any sense? When you think about it, I mean really think hard... No it doesn't...

But, don't listen to anyone who says, "Oh, Chris is just making a blog now cuz everyone has one! He's jealous and wants attention!" Look, I was the one who invented the Blog back in 1970's. That's right. I invented the blog before the internet was created AND before I was born! The Blog was truly a thing of beauty back then. It stood for BLack LOG and provided people with an opportunity to communicate with their friendly neighborhood black people. Ie "YO! Janet Jackson. Sorry everyone was horrified by the site of your breast!" or "Yo, Michael Jackson, you are henceforth forbidden to use Black LOG!" So, I took a break from the world of Black Logs because they became overused, and contrived.

But now, I will make my triumphant return to blogs. The time is right. The internet is saturated with everyone and their mammas trying to post incoherent narratives of their mundane experiences online. So I will add another drop to an overflowing bucket of inane rants and narcissism. And you'll like it, damn it!

Besides, it's a turning point in my life. Soon, MastaCSG will study towards his Masta's degree. I'll be Msc. MastaCSG. Hopefully. I was going to sell the rights of my life story to Warner Brothers, but decided my life story is best expressed as a blog, rather than a feature length motion picture. Oh, the wondrous things I'll do in labs and the colorful characters I'll meet! And all these wonders will be shunted to the internet, that YOU the reader may benefit from my vast, vast VAST array of diverse experiences...

...vast... And biased!!!

And that, ladies and gentleman, is my lackluster first step into the world of Black Logs... I hope you enjoyed it. Cuz this blog ain't free! You have just been billed!!